Cruise is now testing driverless cars on the streets of San Francisco with nobody at the wheel. That's right--no longer is there a person sitting in the driver's seat, hands floating over the steering wheel ready to take over if the computers try to, for example, plow into a woman walking her bicycle.
Here's a promotional video from Cruise:
Streetsblog wants to know how you feel walking, biking, and taking transit with cars now driving around with nobody in the driver's seat. To get the conversation going, Streetsblog checked in with some leading advocates and analysts.
"Undoubtedly the technology will get to a place where it is unequivocally safer than a human-driven vehicle," said Evan Costagliola, who specializes in emerging mobility for the consultancy NelsonNygaard. For the technology to flourish, he said Cruise has to work hand-in-glove with the state, providing raw data that cities can use to help them make safer streets. But companies and regulators also need to decide what role the cars will play. "We need a policy effort to hammer out what are we trying to solve, how do we measure it, how do we report it."
The San Francisco Bicycle Coalition's Brian Wiedenmeier made a comment along similar lines. "Now that autonomous vehicle companies have begun fully driverless testing in San Francisco, it is more important than ever for regulators to ensure the safety of people walking and biking in our city," he told Streetsblog. "That means robust data sharing and transparency regarding their operations as well as opportunities for the public to provide feedback."
Jason Henderson, Professor in Geography & Environment at SF State and author of Street Fight: The Politics of Mobility in San Francisco and co-author of Low Car(Bon) Communities: Inspiring Car-Free and Car-Lite Urban Futures, fears the cars will further disparities, and that the new cars will become just another form of mobility for the elite. "The mobility that scales to San Francisco's density is walking, cycling and public electric traction. Not another layer of privatized automobility."

Livable City's Tom Radulovich points people towards the "10 Rules for Cities Thinking about Automated Vehicles" by Jeff Speck, which breaks down the basic questions about automated cars and reminds people that there's already a technology that "...has outperformed AVs by almost every measure. It travels 50 to 80 times further per calorie expended than the automobile, requires very little space, works on existing infrastructure with minimal modification, doesn’t pollute, and makes its users healthier and happier."
That tech is called the bicycle.
Streetsblog would add one more rule: when policy is discussed about AVs, don't ever let Cruise or any other company claim they're all about safety, as they do continually. Speeding is the single biggest factor in traffic fatalities. If they really wanted to have a "positive effect on humanity," as they say in the video, they could have developed speed governing tech and collaborated with regulators to get it mandated in new cars, as their counterparts are doing in Europe.
Moreover, Cruise is part of General Motors, manufacturer of the most dangerous cars on our roads, including massively overpowered SUVs designed with sightlines that put children at particular risk.
AVs are about making money; think of the profit margins of a taxi or truck if one doesn't have to pay a driver. One can debate if that's a useful goal, but first AV companies have to be honest about it.
_Calculated crystals from another source follow_
********
1.
This record from Materials Project describes a geometry-optimized Rb3VO8 structure. The functional is GGA+U.

## Properties
- DFT total energy (Ha/atom) = -0.1923
- SG = Pbca
- E (MP2020) (eV for the cell shown) = -526.2

```
96
Lattice="7.736 0.000 0.000 0.000 17.306 0.000 0.000 0.000 16.406" Properties=species:S:1:pos:R:3 pbc="T T T"
Rb 1.122 3.712 3.359
Rb 1.122 4.941 11.562
Rb 1.374 8.993 11.352
Rb 1.374 16.966 3.149
Rb 1.540 1.505 7.081
Rb 1.540 7.148 15.284
Rb 2.328 10.158 7.081
Rb 2.328 15.801 15.284
Rb 2.494 0.340 11.352
Rb 2.494 8.313 3.149
Rb 2.746 12.365 3.359
Rb 2.746 13.594 11.562
Rb 4.989 3.712 4.844
Rb 4.989 4.941 13.047
Rb 5.242 8.993 13.257
Rb 5.242 16.966 5.054
Rb 5.408 1.505 1.122
Rb 5.408 7.148 9.325
Rb 6.196 10.158 1.122
Rb 6.196 15.801 9.325
Rb 6.362 0.340 13.257
Rb 6.362 8.313 5.054
Rb 6.614 12.365 4.844
Rb 6.614 13.594 13.047
V 0.636 10.817 14.443
V 0.636 15.141 6.240
V 3.232 2.164 14.443
V 3.232 6.488 6.240
V 4.504 10.817 10.166
V 4.504 15.141 1.963
V 7.100 2.164 10.166
V 7.100 6.488 1.963
O 0.020 12.759 1.766
O 0.020 13.200 9.969
O 0.293 9.221 13.947
O 0.293 16.738 5.744
O 0.342 12.570 8.950
O 0.342 13.388 0.747
O 0.753 2.890 9.504
O 0.753 5.762 1.301
O 0.930 10.283 4.758
O 0.930 15.675 12.961
O 1.216 11.731 13.138
O 1.216 14.228 4.935
O 1.634 9.907 0.415
O 1.634 16.052 8.618
O 1.776 2.000 15.808
O 1.776 6.653 7.605
O 2.092 10.653 15.808
O 2.092 15.306 7.605
O 2.234 1.254 0.415
O 2.234 7.399 8.618
O 2.652 3.078 13.138
O 2.652 5.575 4.935
O 2.938 1.630 4.758
O 2.938 7.023 12.961
O 3.115 11.543 9.504
O 3.115 14.415 1.301
O 3.526 3.917 8.950
O 3.526 4.736 0.747
O 3.575 0.568 13.947
O 3.575 8.085 5.744
O 3.848 4.106 1.766
O 3.848 4.547 9.969
O 3.888 12.759 6.437
O 3.888 13.200 14.640
O 4.161 9.221 10.662
O 4.161 16.738 2.459
O 4.210 12.570 15.659
O 4.210 13.388 7.456
O 4.621 2.890 15.105
O 4.621 5.762 6.902
O 4.798 10.283 3.445
O 4.798 15.675 11.648
O 5.084 11.731 11.471
O 5.084 14.228 3.268
O 5.502 9.907 7.788
O 5.502 16.052 15.991
O 5.644 2.000 8.801
O 5.644 6.653 0.598
O 5.960 10.653 8.801
O 5.960 15.306 0.598
O 6.102 1.254 7.788
O 6.102 7.399 15.991
O 6.520 3.078 11.471
O 6.520 5.575 3.268
O 6.805 1.630 3.445
O 6.805 7.023 11.648
O 6.983 11.543 15.105
O 6.983 14.415 6.902
O 7.394 3.917 15.659
O 7.394 4.736 7.456
O 7.443 0.568 10.662
O 7.443 8.085 2.459
O 7.716 4.106 6.437
O 7.716 4.547 14.640
```

2.
This record from Materials Project describes a geometry-optimized RbV4O10 structure. The functional is GGA+U.

## Properties
- DFT total energy (Ha/atom) = -0.2659
- SG = C2/m
- E (MP2020) (eV for the cell shown) = -122.2

```
15
Lattice="5.872 -1.865 0.000 5.872 1.865 0.000 -1.865 0.000 9.763" Properties=species:S:1:pos:R:3 pbc="T T T"
Rb 0.000 0.000 0.000
V 2.224 0.000 6.413
V 4.165 0.000 3.371
V 5.713 0.000 6.392
V 7.654 0.000 3.350
O 0.248 0.000 6.115
O 2.124 0.000 3.767
O 2.428 0.000 8.034
O 4.339 0.000 1.743
O 3.999 0.000 5.809
O 5.879 0.000 3.954
O 5.539 0.000 8.020
O 7.449 0.000 1.729
O 7.754 0.000 5.996
********
Tell us what you think. Do you feel comfortable walking and biking San Francisco's streets with cars that no longer have anyone sitting in the driver's seat? Post below.